The body is the law of nature. Let the body breathe with its own nature.
== Crystal structures, kept here for reference ==
┌──
Material: Nd3MgAgHg3Pt
Method: DFT, PBE
State: relaxed

Cell and atoms, written as POSCAR:
```
Nd3MgAgHg3Pt
1.0
8.157 0.000 0.000
-4.078 7.064 0.000
0.000 0.000 3.893
Nd Mg Ag Hg Pt
3 1 1 3 1
Direct
0.081 0.371 0.000 Nd
0.290 0.919 0.000 Nd
0.629 0.710 0.000 Nd
0.000 0.000 0.500 Mg
0.667 0.333 0.000 Ag
0.380 0.309 0.500 Hg
0.691 0.070 0.500 Hg
0.930 0.620 0.500 Hg
0.333 0.667 0.500 Pt
```

Space-group type: P-6 (174)
Magnetic moment (μB per formula unit): 0.02
Final energy (eV/atom): -3.37

=====

(1)
Crystalline PaGeS3 at its relaxed geometry, computed with PBE-GGA.

Formation energy from raw total energies (eV/atom): -1.040
Distance to the lowest polymorph of the same formula (meV/atom): 0.0
Spin magnetization (μB/f.u.): 0.897
Symmetry: P2_1/m (11)

abc: 4.008 6.933 14.153
angles: 133.84 90.00 90.00
Each line ends with the local moment (μB).
Fractional coordinates of all 10 atoms:
Pa  0.250  0.356  0.582  0.84
Pa  0.750  0.644  0.418  0.84
S  0.250  0.772  0.858  -0.01
S  0.250  0.308  0.367  -0.03
S  0.750  0.692  0.633  -0.03
S  0.250  0.819  0.365  -0.03
S  0.750  0.181  0.635  -0.03
S  0.750  0.228  0.142  -0.01
Ge  0.750  0.018  0.883  0.01
Ge  0.250  0.982  0.117  0.01


(2)
Crystalline Li5Ac3Cl12 at its relaxed geometry, computed with PBE-GGA.

Formation energy from raw total energies (eV/atom): -1.992
Spin magnetization (μB/f.u.): 0.000
Symmetry: Ia-3d (230)

abc: 13.606 13.606 13.606
angles: 109.47 109.47 109.47
Fractional coordinates of all 80 atoms:
Li  0.500  0.000  0.000
Li  0.250  0.375  0.625
Li  0.000  0.500  0.500
Li  0.875  0.625  0.750
Li  0.375  0.250  0.125
Li  0.125  0.750  0.375
Li  0.875  0.250  0.625
Li  0.500  0.500  0.000
Li  0.625  0.875  0.250
Li  0.375  0.125  0.750
Li  0.000  0.000  0.000
Li  0.750  0.125  0.875
Li  0.750  0.625  0.375
Li  0.500  0.000  0.500
Li  0.125  0.375  0.250
Li  0.000  0.000  0.500
Li  0.000  0.500  0.000
Li  0.625  0.750  0.875
Li  0.500  0.500  0.500
Li  0.250  0.875  0.125
Cl  0.907  0.091  0.883
Cl  0.208  0.683  0.091
Cl  0.117  0.708  0.525
Cl  0.183  0.093  0.975
Cl  0.091  0.907  0.383
Cl  0.909  0.093  0.617
Cl  0.883  0.591  0.907
Cl  0.407  0.025  0.317
Cl  0.409  0.292  0.317
Cl  0.317  0.792  0.409
Cl  0.475  0.683  0.093
Cl  0.093  0.909  0.117
Cl  0.025  0.617  0.708
Cl  0.409  0.117  0.593
Cl  0.525  0.317  0.907
Cl  0.383  0.407  0.091
Cl  0.593  0.617  0.409
Cl  0.117  0.409  0.093
Cl  0.909  0.817  0.792
Cl  0.317  0.525  0.407
Cl  0.025  0.407  0.817
Cl  0.907  0.817  0.525
Cl  0.708  0.117  0.025
Cl  0.593  0.975  0.683
Cl  0.407  0.383  0.591
Cl  0.093  0.183  0.475
Cl  0.183  0.091  0.708
Cl  0.792  0.317  0.909
Cl  0.591  0.708  0.683
Cl  0.817  0.909  0.292
Cl  0.975  0.383  0.292
Cl  0.708  0.591  0.183
Cl  0.975  0.593  0.183
Cl  0.792  0.475  0.383
Cl  0.617  0.025  0.208
Cl  0.617  0.593  0.909
Cl  0.208  0.525  0.617
Cl  0.883  0.292  0.475
Cl  0.591  0.883  0.407
Cl  0.383  0.975  0.792
Cl  0.817  0.907  0.025
Cl  0.475  0.792  0.883
Cl  0.292  0.409  0.817
└──
== The page goes on ==
“We inhale the vital alive biosphere through our skin, our lungs, and our every cell in the body. The biosphere is the natural stimulant and nourishment of our bodily chemistry - our moods and our health. The forces of nature, the elements of nature, animate us far more than our mind-made psychology or philosophy.”
The habitual subject/object thinking and perceiving of the conventional mind does not permit the body to function freely, or at least interferes with the body’s free-feeling communion with Life.
The body is the body of Love. What does that mean? The body does not create separate ideologies, beliefs, identities and so forth. It is always in constant Sacrificial Love Communion with the forces of nature, the forces of Life. In other words, it is a constant functioning Love Sacrifice into nature for the means of Life.
The mind, however, is the creator of a subjective or separate self. And, this mind is commonly involved in an enclosed, ceaseless conversation with itself that overrides and frustrates the body’s Life-enhancing conversation with the forces of its own nature.
Here the article breaks off for data records:
=====
Entry 1:
# Ba2SrHgF, relaxed, DFT PBE
data_Ba2SrHgF
_chemical_formula_sum 'Ba2 Sr1 Hg1 F1'
_cell_length_a 6.014
_cell_length_b 6.014
_cell_length_c 4.868
_cell_angle_alpha 90.00
_cell_angle_beta 90.00
_cell_angle_gamma 90.00
_symmetry_space_group_name_H-M 'P 1'
_symmetry_Int_Tables_number 1
loop_
_symmetry_equiv_pos_as_xyz
'x,y,z'
loop_
_atom_site_label
_atom_site_type_symbol
_atom_site_fract_x
_atom_site_fract_y
_atom_site_fract_z
Sr1 Sr 0.000 0.000 0.500
F1 F 0.000 0.000 0.000
Hg1 Hg 0.500 0.500 0.500
Ba1 Ba 0.500 0.000 0.000
Ba2 Ba 0.000 0.500 0.000
# **E**: -13.681 eV per cell
# **Space-group type**: P4/mmm, No. 123
# **D(E_F)**: 3.2 states/eV/f.u.


Entry 2:
# Ni9Sn2Mo, relaxed, DFT PBE
data_Ni9Sn2Mo
_chemical_formula_sum 'Ni9 Sn2 Mo1'
_cell_length_a 3.699
_cell_length_b 3.699
_cell_length_c 11.112
_cell_angle_alpha 90.00
_cell_angle_beta 90.00
_cell_angle_gamma 90.00
_symmetry_space_group_name_H-M 'P 1'
_symmetry_Int_Tables_number 1
loop_
_symmetry_equiv_pos_as_xyz
'x,y,z'
loop_
_atom_site_label
_atom_site_type_symbol
_atom_site_fract_x
_atom_site_fract_y
_atom_site_fract_z
Sn1 Sn 0.000 0.000 0.667
Sn2 Sn 0.000 0.000 0.333
Ni1 Ni 0.500 0.500 0.000
Ni2 Ni 0.500 0.000 0.844
Ni3 Ni 0.500 0.500 0.673
Ni4 Ni 0.000 0.500 0.156
Ni5 Ni 0.000 0.500 0.844
Ni6 Ni 0.000 0.500 0.500
Ni7 Ni 0.500 0.000 0.500
Ni8 Ni 0.500 0.500 0.327
Ni9 Ni 0.500 0.000 0.156
Mo1 Mo 0.000 0.000 0.000
# **Space-group type**: P4/mmm, No. 123
# **E_form**: -0.1276 eV/atom
# **D(E_F)**: 9.3 states/eV/f.u.


Entry 3:
# Cs2Tl2O3, relaxed, DFT PBE
data_Cs2Tl2O3
_chemical_formula_sum 'Cs2 Tl2 O3'
_cell_length_a 4.022
_cell_length_b 6.846
_cell_length_c 7.085
_cell_angle_alpha 106.04
_cell_angle_beta 106.49
_cell_angle_gamma 90.00
_symmetry_space_group_name_H-M 'P 1'
_symmetry_Int_Tables_number 1
loop_
_symmetry_equiv_pos_as_xyz
'x,y,z'
loop_
_atom_site_label
_atom_site_type_symbol
_atom_site_fract_x
_atom_site_fract_y
_atom_site_fract_z
Tl1 Tl 0.857 0.620 0.714
Tl2 Tl 0.143 0.380 0.286
O1 O 0.728 0.306 0.456
O2 O 0.272 0.694 0.544
O3 O 0.000 0.500 0.000
Cs1 Cs 0.618 0.825 0.235
Cs2 Cs 0.382 0.175 0.765
# **E**: -27.458 eV per cell
# **Space-group type**: C2/m, No. 12
# **D(E_F)**: 2.4 states/eV/f.u.


Entry 4:
# Li5Pb3, relaxed, DFT PBE
data_Li5Pb3
_chemical_formula_sum 'Li5 Pb3'
_cell_length_a 4.921
_cell_length_b 4.921
_cell_length_c 7.680
_cell_angle_alpha 108.70
_cell_angle_beta 108.70
_cell_angle_gamma 89.97
_symmetry_space_group_name_H-M 'P 1'
_symmetry_Int_Tables_number 1
loop_
_symmetry_equiv_pos_as_xyz
'x,y,z'
loop_
_atom_site_label
_atom_site_type_symbol
_atom_site_fract_x
_atom_site_fract_y
_atom_site_fract_z
Pb1 Pb 0.753 0.753 0.506
Pb2 Pb 0.247 0.247 0.494
Pb3 Pb 0.500 0.500 0.000
Li1 Li 0.121 0.621 0.242
Li2 Li 0.000 0.000 0.000
Li3 Li 0.621 0.121 0.242
Li4 Li 0.879 0.379 0.758
Li5 Li 0.379 0.879 0.758
# **Space-group type**: I4/mmm, No. 139
# **E_form**: -0.2918 eV/atom
# **Offset from the most stable computed form**: 0.0000 eV per atom
=====
The article goes on:
The body has been instinctively evolved over time, within its inherent intimate engagement with the elemental forces of nature. However, the mind is the activity of the separate self, the conditioned self, the seeking self and the private self – the self, disconnected from its primal source condition.
It is the mind that interferes with the body’s instinctive relationship with the forces of nature. It is the personal mind that corrupts and stresses our body’s natural relationship with the elements of nature.
This is so because we abandon the body’s communication with all the elements of nature in order to pursue and exploit the kinds of seeking our own private mind craves.
We inhabit a far greater body than just the personal body. The idea or sensation of living in a separate personal body is a modern civilized construct of mind. The body itself is embedded in earth nature. Our sensitive and sensuous bodies are intimately part of the earth world we inhabit.
Our nervous system is carnally embedded in the uncontrollable forces of nature.
Our brain’s nervous systems could never have evolved without our direct engagement with every aspect of our earth nature habitat. And yet we have, with our own modern civilized constructs, cut our body’s essential communion with the elements of nature.
In our drive for safety, comfort and predictability, we have cut off our body’s natural communication from nature and we thereby starve our seething nervous system of the necessary and nourishing stimulants derived from nature that it requires in order to maintain the demands of Love and health.
The necessity of the body’s interaction with nature’s laws and manifest elements for its health has been severely curtailed. This has been severely impeded by our safety-conscious, civilized affluent way of life. Today the body’s health and enlightenment is filtered through a constant array of technology, continually crafted to satisfy and accommodate our modern minds’ desires. And yet the wisdom of the body’s innate nature far exceeds all the speculation and calculations we impose on it with our minds.
We inhale the vital alive biosphere through our skin, our lungs, and our every cell in the body. The biosphere is the natural stimulant and nourishment of our bodily chemistry - our moods and our health.
The forces of nature, the elements of nature, animate us far more than our mind-made psychology or philosophy.
Just so, cocooned in our modern, civilized, techno air-conditioned, environmentally friendly existence, our physiology remains hungry for engagement with the forces of nature, unhindered by the mind.
And then, in the midst of our body’s deprived elemental life, we propose to take up the rigors of Spiritual Life. Have you noticed how we generally want that to be a comfortable passage, a warm meditative circumstance, undisturbed by the vagaries and rawness of nature’s elements and forces? Once again, we want a safe Spiritual Practice, one that accommodates our frightened and delicate physiology- a Spiritual Practice that accommodates our minds endless search.
Beloved Arohananda Ma has often commented how people generally bring a devitalized nervous system to the Siddhi within the Spiritual Hermitage, with which to receive and reciprocate the vital energy transmitted by a Spiritual Renunciate.
“The subjective self, the sensation of being a separate self person, has a traumatic effect on our nervous system, resulting in chronically deficient breathing and therefore a devitalized physiology. If we are to engage fully or whole bodily in the process of Transcendental Understanding, we must recharge the very core of our physiology.”
Arohananda Ma
In the Light of Her own remarkable bodily healing, Arohananda Ma has instigated and introduced the IAM Breathing Method at Tushita Hermitage.
“The modern human being, who is, in fact, constantly traumatized by both the effects of a highfalutin’ techno society and a physiology starved of its fundamental natural stimulants, must take back responsibility for deep psycho-physical breathing in order to oxygenate and recharge the central nervous system and the autonomic nervous system. If we are to sit in the presence of the Siddhi of Life and come into Communion with such a Transmission, we must first of all bring a fully oxygenated and vital physiology.”
Arohananda Ma